Activity =
Repeat the notes further down from the first line to the one with "Hf1 0.000" character by character.

Input =
'''
No. 1
# BaSCl2, optimized geometry, DFT PBE-GGA
# ΔE to the lowest computed polymorph ... 273 meV/atom
# E_form (uncorrected) ... -1.1278 eV/atom
# Density of states at the Fermi level ... 4.084 states/eV/cell
# Uncorrected energy ... -3.5637 eV per atom
data_BaSCl2
_cell_length_a 4.954
_cell_length_b 4.954
_cell_length_c 19.354
_cell_angle_alpha 90.00
_cell_angle_beta 90.00
_cell_angle_gamma 90.00
_space_group_name_H-M_alt 'I -4 2 d'
_space_group_IT_number 122
_space_group_name_Hall 'I -4 2bw'
loop_
_atom_site_label
_atom_site_fract_x
_atom_site_fract_y
_atom_site_fract_z
Ba1 0.000 0.000 0.000
S1 0.000 0.000 0.500
Cl1 0.211 0.250 0.625

=====

No. 2
# NaInAgCl3, optimized geometry, DFT PBE-GGA
# E_form (uncorrected) ... -1.0041 eV/atom
# Density of states at the Fermi level ... 0.000 states/eV/cell
# Uncorrected energy ... -3.0789 eV per atom
data_NaInAgCl3
_cell_length_a 8.920
_cell_length_b 4.049
_cell_length_c 9.387
_cell_angle_alpha 90.00
_cell_angle_beta 96.52
_cell_angle_gamma 90.00
_space_group_name_H-M_alt 'P 1 21/m 1'
_space_group_IT_number 11
_space_group_name_Hall '-P 2yb'
loop_
_atom_site_label
_atom_site_fract_x
_atom_site_fract_y
_atom_site_fract_z
Na1 0.149 0.250 0.151
In1 0.304 0.750 0.783
Ag1 0.491 0.750 0.340
Cl1 0.075 0.250 0.834
Cl2 0.312 0.250 0.433
Cl3 0.345 0.750 0.085

=====

No. 3
# Y3NbAg, optimized geometry, DFT PBE-GGA
# ΔE to the lowest computed polymorph ... 190 meV/atom
# Formation energy ... 786 meV per atom
# Density of states at the Fermi level ... 8.260 states/eV/cell
# Uncorrected energy ... -5.6771 eV per atom
data_Y3NbAg
_cell_length_a 5.452
_cell_length_b 5.452
_cell_length_c 5.452
_cell_angle_alpha 90.00
_cell_angle_beta 90.00
_cell_angle_gamma 90.00
_space_group_name_H-M_alt 'P m -3 m'
_space_group_IT_number 221
_space_group_name_Hall '-P 4 2 3'
loop_
_atom_site_label
_atom_site_fract_x
_atom_site_fract_y
_atom_site_fract_z
Y1 0.000 0.000 0.500
Nb1 0.500 0.500 0.500
Ag1 0.000 0.000 0.000

=====

No. 4
# LaHgBr2, optimized geometry, DFT PBE-GGA
# ΔE to the lowest computed polymorph ... 212 meV/atom
# E_form (uncorrected) ... -1.1073 eV/atom
# Density of states at the Fermi level ... 1.844 states/eV/cell
# Uncorrected energy ... -3.2511 eV per atom
data_LaHgBr2
_cell_length_a 4.006
_cell_length_b 4.006
_cell_length_c 7.914
_cell_angle_alpha 90.00
_cell_angle_beta 90.00
_cell_angle_gamma 90.00
_space_group_name_H-M_alt 'P 4 m m'
_space_group_IT_number 99
_space_group_name_Hall 'P 4 -2'
loop_
_atom_site_label
_atom_site_fract_x
_atom_site_fract_y
_atom_site_fract_z
La1 0.000 0.000 0.000
Hg1 0.500 0.500 0.777
Br1 0.000 0.000 0.613
Br2 0.500 0.500 0.211

=====

No. 5
# HfTiPt, optimized geometry, DFT PBE-GGA
# ΔE to the lowest computed polymorph ... 0 meV/atom
# Formation energy ... -518 meV per atom
# Density of states at the Fermi level ... 6.181 states/eV/cell
# Uncorrected energy ... -8.4810 eV per atom
data_HfTiPt
_cell_length_a 5.688
_cell_length_b 3.169
_cell_length_c 6.360
_cell_angle_alpha 90.00
_cell_angle_beta 103.01
_cell_angle_gamma 90.00
_space_group_name_H-M_alt 'P 1 m 1'
_space_group_IT_number 6
_space_group_name_Hall 'P -2y'
loop_
_atom_site_label
_atom_site_fract_x
_atom_site_fract_y
_atom_site_fract_z
Hf1 0.000 0.000 0.000
Hf2 0.476 0.500 0.919
Ti1 0.338 0.500 0.341
Ti2 0.826 0.500 0.336
Pt1 0.153 0.000 0.606
Pt2 0.657 0.000 0.616

=====

No. 6
# Ba2UPN5, optimized geometry, DFT PBE-GGA
# E_form (uncorrected) ... -0.7942 eV/atom
# Density of states at the Fermi level ... 1.682 states/eV/cell
# Uncorrected energy ... -7.7020 eV per atom
data_Ba2UPN5
_cell_length_a 3.527
_cell_length_b 14.860
_cell_length_c 12.159
_cell_angle_alpha 90.00
_cell_angle_beta 90.00
_cell_angle_gamma 90.00
_space_group_name_H-M_alt 'C m c 21'
_space_group_IT_number 36
_space_group_name_Hall 'C 2c -2'
loop_
_atom_site_label
_atom_site_fract_x
_atom_site_fract_y
_atom_site_fract_z
Ba1 0.000 0.099 0.000
Ba2 0.000 0.137 0.680
U1 0.000 0.193 0.382
P1 0.000 0.439 0.755
N1 0.000 0.043 0.335
'''

Response =
No. 1
# BaSCl2, optimized geometry, DFT PBE-GGA
# ΔE to the lowest computed polymorph ... 273 meV/atom
# E_form (uncorrected) ... -1.1278 eV/atom
# Density of states at the Fermi level ... 4.084 states/eV/cell
# Uncorrected energy ... -3.5637 eV per atom
data_BaSCl2
_cell_length_a 4.954
_cell_length_b 4.954
_cell_length_c 19.354
_cell_angle_alpha 90.00
_cell_angle_beta 90.00
_cell_angle_gamma 90.00
_space_group_name_H-M_alt 'I -4 2 d'
_space_group_IT_number 122
_space_group_name_Hall 'I -4 2bw'
loop_
_atom_site_label
_atom_site_fract_x
_atom_site_fract_y
_atom_site_fract_z
Ba1 0.000 0.000 0.000
S1 0.000 0.000 0.500
Cl1 0.211 0.250 0.625

=====

No. 2
# NaInAgCl3, optimized geometry, DFT PBE-GGA
# E_form (uncorrected) ... -1.0041 eV/atom
# Density of states at the Fermi level ... 0.000 states/eV/cell
# Uncorrected energy ... -3.0789 eV per atom
data_NaInAgCl3
_cell_length_a 8.920
_cell_length_b 4.049
_cell_length_c 9.387
_cell_angle_alpha 90.00
_cell_angle_beta 96.52
_cell_angle_gamma 90.00
_space_group_name_H-M_alt 'P 1 21/m 1'
_space_group_IT_number 11
_space_group_name_Hall '-P 2yb'
loop_
_atom_site_label
_atom_site_fract_x
_atom_site_fract_y
_atom_site_fract_z
Na1 0.149 0.250 0.151
In1 0.304 0.750 0.783
Ag1 0.491 0.750 0.340
Cl1 0.075 0.250 0.834
Cl2 0.312 0.250 0.433
Cl3 0.345 0.750 0.085

=====

No. 3
# Y3NbAg, optimized geometry, DFT PBE-GGA
# ΔE to the lowest computed polymorph ... 190 meV/atom
# Formation energy ... 786 meV per atom
# Density of states at the Fermi level ... 8.260 states/eV/cell
# Uncorrected energy ... -5.6771 eV per atom
data_Y3NbAg
_cell_length_a 5.452
_cell_length_b 5.452
_cell_length_c 5.452
_cell_angle_alpha 90.00
_cell_angle_beta 90.00
_cell_angle_gamma 90.00
_space_group_name_H-M_alt 'P m -3 m'
_space_group_IT_number 221
_space_group_name_Hall '-P 4 2 3'
loop_
_atom_site_label
_atom_site_fract_x
_atom_site_fract_y
_atom_site_fract_z
Y1 0.000 0.000 0.500
Nb1 0.500 0.500 0.500
Ag1 0.000 0.000 0.000

=====

No. 4
# LaHgBr2, optimized geometry, DFT PBE-GGA
# ΔE to the lowest computed polymorph ... 212 meV/atom
# E_form (uncorrected) ... -1.1073 eV/atom
# Density of states at the Fermi level ... 1.844 states/eV/cell
# Uncorrected energy ... -3.2511 eV per atom
data_LaHgBr2
_cell_length_a 4.006
_cell_length_b 4.006
_cell_length_c 7.914
_cell_angle_alpha 90.00
_cell_angle_beta 90.00
_cell_angle_gamma 90.00
_space_group_name_H-M_alt 'P 4 m m'
_space_group_IT_number 99
_space_group_name_Hall 'P 4 -2'
loop_
_atom_site_label
_atom_site_fract_x
_atom_site_fract_y
_atom_site_fract_z
La1 0.000 0.000 0.000
Hg1 0.500 0.500 0.777
Br1 0.000 0.000 0.613
Br2 0.500 0.500 0.211

=====

No. 5
# HfTiPt, optimized geometry, DFT PBE-GGA
# ΔE to the lowest computed polymorph ... 0 meV/atom
# Formation energy ... -518 meV per atom
# Density of states at the Fermi level ... 6.181 states/eV/cell
# Uncorrected energy ... -8.4810 eV per atom
data_HfTiPt
_cell_length_a 5.688
_cell_length_b 3.169
_cell_length_c 6.360
_cell_angle_alpha 90.00
_cell_angle_beta 103.01
_cell_angle_gamma 90.00
_space_group_name_H-M_alt 'P 1 m 1'
_space_group_IT_number 6
_space_group_name_Hall 'P -2y'
loop_
_atom_site_label
_atom_site_fract_x
_atom_site_fract_y
_atom_site_fract_z
Hf1 0.000 0.000 0.000